If the last few years have taught us anything, it’s that we need to be adaptable, flexible and ready for change. Each of these traits is vital to the success of any business — especially for those focusing on employee engagement.
Attached: records of crystals.
-- begin --
## Gd2GeB2O8 (PBE-GGA)

Data for a geometry-optimized Gd2GeB2O8 structure.

Cell: 13.633 4.460 9.435 Å, 90.00 90.00 90.00°
Space group Pbcn (No. 60)
One atom of each set of equivalent atoms:
Gd  0.140  0.041  0.027 [8 per cell]
Ge  0.000  0.423  0.750 [4 per cell]
B  0.200  0.470  0.298 [8 per cell]
O  0.005  0.202  0.902 [8 per cell]
O  0.107  0.345  0.233 [8 per cell]
O  0.192  0.464  0.451 [8 per cell]
O  0.216  0.218  0.742 [8 per cell]

Values from the calculation:
Calculated volume = 574 Å³ per cell
DFT formation energy = -3.175 eV per atom
-- stop --
Leadership teams must revisit and realign their engagement efforts regularly to ensure that team members are actively involved in meeting the challenges that occur within the organization. Without it, dysfunction will set in, productivity will suffer, absenteeism will climb, and turnover will become an increasingly serious problem.
COVID-19 was a game changer for employee engagement, particularly for those working in the supply chain who are considered frontline workers. Organizations had to come up with new solutions for engaging with those individuals. For workers, the pandemic drove home what was important to them. One report found that prolonged job dissatisfaction, pandemic-related safety issues and the desire to work for employers with a sense of unity were strong drivers for what has been termed the Great Resignation.
Turning around this mass exodus will be no small undertaking. Leadership teams will be dealing with myriad personalities, all with different wants, needs and motivations. But while there’s no quick fix for re-engaging workers, technology can help. Employees require the right tools to do their jobs effectively and add value to their day-to-day lives. They also can improve the overall employee experience by promoting communication and connection.
Providing employees with the right technology doesn’t just make their lives easier; it gives them a voice, which, in turn, fosters buy-in and builds relationships between employers and employees. The latter secure greater access to senior leadership, management, team leaders and peers. Feelings of isolation and disconnection subside, improving job satisfaction and supporting greater collaboration within teams.
The supply chain industry, in particular, relies heavily on paper-based processes for those working on the frontline. Technology tools can streamline and automate mundane, repetitive tasks, freeing up time for other responsibilities. Reducing paper usage also has an environmental impact, delivering a one-two punch for operations. Workers feel the company is making a difference while it’s simultaneously meeting their demands.
Companies looking to engage employees with the help of technology often
focus on the wrong initiatives. They choose “Band-Aids” instead of investing in cures. To avoid this trap, they need to explore the following strategies:
Adopt mobile technologies. By putting the power of engagement at the fingertips of frontline workers, companies demonstrate that they value these employees. They’re able to connect with workers in real time, wherever they happen to be.
Offer a single platform. Accessibility is critical, and that’s what a single platform provides. Employees can access everything they need at the touch of a button — and, with mobile devices, in the palms of their hands. Look for an application that caters to desk workers with access to company e-mail or computers, but also one that enables employee engagement on the frontline.
Facilitate top-down, bottom-up communication. Frontline works need a voice. An all-inclusive platform can relay important leadership messages while also facilitating two-way communication between all members of the team. Widely dispersed employees, including those on the road, will feel included and valued.
Innovative employee-engagement tools put the power in the hands of frontline supply chain employees. Not only are those workers aligned with the company’s goals and values, but they’re also more likely to be loyal, invested and motivated in their jobs. It’s all about improving workers’ lives and connecting with them, which impacts employee engagement — and the company’s bottom line.
Gys Kappers is co-founder of Wyzetalk, a digital employee experience platform.